Friday, November 11, 2011

Pure Genius

These are pictures from the actual show
On Tuesday evening, Robert and I had a rare mid-week date to a modern ballet performance entitled, "Complexions".  It felt like the first time I tasted sushi--tastes I had never tasted and textures I wasn't used to, but incredibly and indescribably good.  I felt like my creative taste buds were salivating with delight.  The strange music, the intricate moves, and those bodies--those amazing, spectacular bodies.  Even the muscles had muscles!  I marveled at how it would be to have total control of my body with the ability to move and jump however I desired.  It was in that moment that I realized that I was seeing true genius.  It made me think about the other times in my life I had witnessed pure genius and that it made me feel like I was witnessing a small part of divinity.  It's inspiring what the mind and body can do when determined, but equally inspiring are the gifts that Heavenly Father blesses his children with.  And it's such a gift to be able to watch someone else display their genius because for a moment, you see what is possible.

     Christian and Robert are both reading the book, "A Short History of Nearly Everything".  It talks about all of the major scientific discoveries, how everything came to be known and how it all fits together.  Christian asked me why it seemed like a lot of the people we consider "genius" or "inspired" to make certain discoveries often had/have very corrupt aspects of their lives.  For example, Einstein left his wife to have an affair with his cousin and subsequently traded his cousin for his cousin's sister.  Also Christopher Columbus who is widely accepted to be inspired in coming to America, was an excellent navigator, a courageous explorer and an able captain, was also accused of decimating the Arawak Indians.  Why does God choose to work through people that are so imperfect?  In my opinion, it is because He works through natural laws and those that have the natural genetic means to facilitate God's purposes, He uses.  Some of the different types of genius that I have been blessed to witness are:

*The genius of wisdom.  Have you ever met a person that just seems to understand people and what life is all about?  They seem to innately know what the right decisions are in almost every situation and have the ability to meaningfully apply their knowledge?  I know several people like this and they bless the lives of everyone around them, including me.

*The genius of intelligence.  I know people whose minds are sponges for understanding anything they are taught.  I marvel when I see that their minds are able to simultaneously grasp the meaning of something the moment they hear it.  I greatly admire people who are always learning and expanding their minds, but also those that are quick in assimilating information no matter how complex.

*Musical genius--someone who at a young age who exhibits extraordinary understanding, depth, and ability when it comes to music. --Like this 10 year old name Jackie Evancho, for example, who was featured on America's Got Talent.  I don't know how you can listen to her and not gain a stronger conviction that God loves and blesses His children with extraordinary gifts.

*Artistic genius--I have always had a great appreciation for art in it's many forms.  I have had very spiritual experiences walking through art galleries and museums.  I once took a figure drawing class and my brain was literally in a cramp every time I went.  I had to strain with concentration and effort only to produce the most elementary sketches of the human body.  I am in awe of those that can just see things and easily communicate their version of what they see onto canvas.  

*The genius of spiritual understanding--I have been blessed to know many people in my life that are the absolute salt of the Earth.  These are people that seem to be tried and tried and tried, yet still persevere with faith in their quiet, unassuming ways.  Their lives are a testimony.  They don't need to bare a testimony out loud because they live as Christ would every day of their lives.  I always try to identify people like these because they often go unnoticed with few honors and acknowledgments.  But when I find them, I study them and cherish them because they are my heroes.

*The genius of words--This is a person who communicates their creativity or observations in a way that is precise and beautiful and in a way that no one else would.  I LOVE books, and when I read a skillful description of a character, or a masterful storyline, I am inspired.  Words have such incredibly power and I enjoy witnessing the capacity that a control and understanding of words has.

Every Mom knows the satisfaction of seeing your child excel at something they love.  With Christian, I worked tirelessly to find his talents, putting him in every class and lesson that was possible--chess lessons, cooking classes, art, every sport, violin, acting classes, etc.  And what did I discover?  He found his talents and interests by himself.  How I love that moment when you see your child totally and completely in their element.  It's like their body has tapped into their spirit and for a moment, they are one. 

• Someone pasted materials data at this point:
<<<
(1)
Calculated powder diffractogram
Compound: GaSi17NiGe13
Radiation: Cu Kα (weighted mean of Kα1 and Kα2)
Structure: a cell relaxed with GGA-PBE
Kinematic intensities with the Lorentz-polarization factor, no thermal factor.

Largest 6 diffraction maxima, in order of rising 2θ, 10° ≤ 2θ ≤ 90°:
| Position (°2θ) | d_spacing | intensity |
| --- | --- | --- |
| 27.7 | 3.215 | 86 |
| 27.9 | 3.201 | 84 |
| 46.2 | 1.967 | 100 |
| 46.5 | 1.954 | 19 |
| 54.6 | 1.682 | 18 |
| 54.8 | 1.676 | 24 |

Atomic structure:
Cell lengths 5.5819, 3.9337, 31.2639 Å; angles 90.00, 90.08, 90.00 degrees
Fractional positions:
Ga (0.0000, 0.0000, 0.0000)
Si (0.2395, 0.0000, 0.1770)
Si (0.2406, 0.0000, 0.6806)
Si (0.2415, 0.0000, 0.4311)
Si (0.2468, 0.0000, 0.9347)
Si (0.4437, 0.5000, 0.0590)
Si (0.4808, 0.5000, 0.1798)
Si (0.4806, 0.5000, 0.4326)
Si (0.4822, 0.5000, 0.6814)
Si (0.4841, 0.5000, 0.9330)
Si (0.4923, 0.5000, 0.8054)
Si (0.7284, 0.5000, 0.2409)
Si (0.7292, 0.5000, 0.7430)
Si (0.7299, 0.5000, 0.4934)
Si (0.7411, 0.5000, 0.6214)
Si (0.9816, 0.0000, 0.6210)
Si (0.9921, 0.0000, 0.3703)
Si (0.9963, 0.0000, 0.1136)
Ni (0.2607, 0.0000, 0.0602)
Ge (0.2294, 0.0000, 0.3059)
Ge (0.2298, 0.0000, 0.5580)
Ge (0.2428, 0.0000, 0.8062)
Ge (0.4926, 0.5000, 0.3054)
Ge (0.4933, 0.5000, 0.5579)
Ge (0.7123, 0.5000, 0.9988)
Ge (0.7326, 0.5000, 0.8698)
Ge (0.7366, 0.5000, 0.1168)
Ge (0.7418, 0.5000, 0.3709)
Ge (0.9798, 0.0000, 0.2399)
Ge (0.9803, 0.0000, 0.4927)
Ge (0.9808, 0.0000, 0.7424)
Ge (0.9943, 0.0000, 0.8717)

***

(2)
Calculated powder diffractogram
Compound: Cs2ZnGe3Te8
Radiation: Cu Kα (weighted mean of Kα1 and Kα2)
Structure: a cell relaxed with GGA-PBE
Kinematic intensities with the Lorentz-polarization factor, no thermal factor.

Largest 6 diffraction maxima, in order of rising 2θ, 10° ≤ 2θ ≤ 90°:
| Position (°2θ) | d_spacing | intensity |
| --- | --- | --- |
| 24.3 | 3.664 | 23 |
| 25.5 | 3.490 | 55 |
| 25.9 | 3.439 | 38 |
| 26.7 | 3.333 | 100 |
| 43.8 | 2.066 | 24 |
| 52.0 | 1.760 | 29 |

Atomic structure:
Cell lengths 8.2897, 13.7571, 19.0544 Å; angles 90.00, 90.00, 90.00 degrees
Fractional positions:
Cs (0.2474, 0.1146, 0.4496)
Cs (0.2473, 0.8081, 0.3486)
Cs (0.2527, 0.1919, 0.8486)
Cs (0.2526, 0.8854, 0.9496)
Cs (0.7474, 0.3854, 0.5504)
Cs (0.7473, 0.6919, 0.6514)
Cs (0.7527, 0.3081, 0.1514)
Cs (0.7526, 0.6146, 0.0504)
Zn (0.0128, 0.0017, 0.1534)
Zn (0.4872, 0.9983, 0.6534)
Zn (0.5128, 0.4983, 0.8466)
Zn (0.9872, 0.5017, 0.3466)
Ge (0.0029, 0.5133, 0.8474)
Ge (0.2350, 0.5663, 0.5200)
Ge (0.2395, 0.5580, 0.1759)
Ge (0.2605, 0.4420, 0.6759)
Ge (0.2650, 0.4337, 0.0200)
Ge (0.4971, 0.4867, 0.3474)
Ge (0.5029, 0.9867, 0.1526)
Ge (0.7350, 0.9337, 0.4800)
Ge (0.7395, 0.9420, 0.8241)
Ge (0.7605, 0.0580, 0.3241)
Ge (0.7650, 0.0663, 0.9800)
Ge (0.9971, 0.0133, 0.6526)
Te (0.0072, 0.8879, 0.5457)
Te (0.0112, 0.8920, 0.7617)
Te (0.0217, 0.1199, 0.2661)
Te (0.0288, 0.1205, 0.0410)
Te (0.2389, 0.3760, 0.5449)
Te (0.2387, 0.3789, 0.3420)
Te (0.2445, 0.1296, 0.6521)
>>>

I guess what I am really trying to get at is that genius and talents are a testament of God's love for us.  When I see someone exhibiting their talent, I feel appreciative, happy, in awe of the many ways God blesses our lives.  I am thankful for the people that touch my life daily with their many different ways of being exceptional.


DrFlynnDMD said...

Sandra, your exceptional. I love reading your blog, you deep thoughts and brilliant observations. You make this word a better place!

Julie said...

Beautifully written, as always. It's a good reminder that there is much more than just virtuoso genius. I think you exhibit genius in wisdom and art (photography). And the best thing about it is that you have shared freely with others and have made such a difference in many people's lives. I am thankful for YOU.

Linda said...

As you listed the "geniuses" I couldn't help but think that your talent for photography and writing capture the essense of being a genius yourself. I "feel", I "ponder", I "reflect", and am enlighted. Thank-you.

Marilyn said...

Wonderful writing. You are pure genius in many of the ways you describ. Its a joy to read your many blogs....Love you

Juliann said...

Very thought-provoking; and yes, you are so exceptional. I love that you showed that genius can be found in many different things, and that people can bestow various forms of genius. I also thought your advice of letting your kids find their own genius was so profound - something I want to do better.